[1]
Below is C25H47ClINO3PdSi2 as an isolated structure in a non-equilibrium geometry, with properties calculated with ωB97M-V/def2-TZVPD.

CARTESIAN COORDINATES (ANGSTROEM)
O  -0.3482  -1.0899  -2.1757
O  0.8759  0.8298  -3.4203
C  0.3782  -2.3855  -2.5429
C  -0.3903  -3.5010  -1.9051
H  1.3881  -2.2584  -2.1408
H  0.3990  -2.4213  -3.6377
H  -0.4990  -3.3628  -0.8218
H  0.1466  -4.4354  -2.0615
H  -1.3813  -3.6170  -2.3571
C  -1.7106  -0.8887  -2.8505
C  -1.6903  -1.1031  -4.3391
H  -1.9916  0.1251  -2.5545
H  -2.3255  -1.6186  -2.3248
H  -0.9681  -0.4552  -4.8553
H  -2.6906  -0.8566  -4.7214
H  -1.5084  -2.1523  -4.6012
C  0.4062  2.1913  -3.2989
C  2.1648  0.6190  -4.0293
C  -0.5853  2.5361  -4.3847
H  1.2701  2.8679  -3.3073
H  -0.0750  2.2522  -2.3110
H  -0.1223  2.5006  -5.3798
H  -0.9462  3.5585  -4.2212
H  -1.4533  1.8643  -4.3647
C  2.1237  0.7824  -5.5339
H  2.4492  -0.4059  -3.7538
H  2.8855  1.3107  -3.5691
H  1.3092  0.1979  -5.9836
H  3.0693  0.4167  -5.9481
H  2.0190  1.8361  -5.8203
H  0.2548  -0.2947  -2.3700
Pd  -0.0385  0.1497  1.4023
C  1.4815  0.0167  -0.0474
Si  3.2625  0.4487  0.4582
H  1.3610  -1.0553  -0.2985
H  1.1112  0.5997  -0.9045
C  4.4198  -0.6359  -0.5691
C  3.7442  0.2054  2.2436
C  3.5876  2.2402  0.0042
C  -1.6373  -1.0702  1.0478
Si  -3.1610  0.0166  0.9896
H  -1.6139  -1.8022  1.8806
H  -1.3420  -1.6083  0.1295
C  -4.4175  -0.7438  -0.1930
C  -2.6434  1.7122  0.3863
C  -4.0146  0.1261  2.6530
H  3.0077  2.5320  -0.8794
H  4.6530  2.3972  -0.2163
H  3.3131  2.9044  0.8326
H  4.1867  -1.6996  -0.4254
H  5.4646  -0.4810  -0.2714
H  4.3364  -0.4109  -1.6404
H  3.2191  -0.6411  2.7036
H  3.5190  1.1107  2.8253
H  4.8267  0.0269  2.3075
H  -3.0426  1.8909  -0.6210
H  -1.5482  1.8257  0.3411
H  -3.0394  2.4870  1.0561
H  -4.9334  0.7233  2.5663
H  -3.3873  0.5775  3.4297
H  -4.3015  -0.8784  2.9932
H  -5.4121  -0.3186  0.0025
H  -4.4745  -1.8294  -0.0346
H  -4.1686  -0.5624  -1.2455
Cl  -0.7457  -0.7097  8.3376
C  -0.1864  -0.8604  6.7258
C  0.5504  -1.9857  6.3646
C  1.0033  -2.1722  5.0660
I  2.1170  -3.8285  4.5315
C  0.6641  -1.2237  4.0264
O  0.9437  -1.4516  2.8057
C  -0.0524  -0.0260  4.4264
N  -0.3883  0.8527  3.4598
C  -1.0812  1.9583  3.7419
C  -1.5518  2.2035  5.0434
C  -1.2664  1.3072  6.0551
C  -0.4956  0.1577  5.7802
H  0.7745  -2.7372  7.1095
H  -1.2686  2.6567  2.9245
H  -2.1462  3.0934  5.2197
H  -1.6419  1.4695  7.0610

Values from the calculation:
F_max   0.041 Eh/bohr
⟨S²⟩   2.008
2S+1   3
Total energy   -74175.08599 eV
HOMO level (spin up / spin down)   -5.542 / -6.192 eV


[2]
Below is a 9-piece molecular cluster, C31H44ClN4O11 overall in a non-equilibrium geometry, with properties calculated with ωB97M-V/def2-TZVPD.

CARTESIAN COORDINATES (ANGSTROEM)
Cl  36.6465  -2.7426  -12.6402
O  37.2845  -2.1935  -13.7696
O  35.3770  -3.2888  -13.0231
O  37.4693  -3.7385  -12.0377
O  36.5150  -1.6884  -11.7178
O  45.7772  -2.7174  -10.7848
C  44.6263  -2.3090  -10.7920
O  43.9517  -2.2243  -11.9941
C  42.6372  -1.7754  -11.8117
C  42.5303  -1.2868  -10.3598
C  43.7786  -1.7652  -9.6061
H  41.9866  -2.6462  -11.8929
H  42.2721  -1.0170  -12.5042
H  41.6683  -1.7071  -9.8417
H  42.4202  -0.2024  -10.3617
H  43.6522  -2.5163  -8.8263
H  44.1949  -0.8849  -9.1163
O  41.7267  0.5802  -6.0003
C  40.5531  0.3963  -6.2679
O  39.8754  1.2577  -6.9877
C  38.6529  0.7162  -7.4867
C  38.5881  -0.6629  -6.9537
C  39.6485  -0.7870  -5.9174
H  38.6557  0.7707  -8.5753
H  37.8926  1.2968  -6.9641
H  38.7640  -1.4662  -7.6692
H  37.6081  -0.8890  -6.5334
H  40.1487  -1.7545  -5.8756
H  39.1041  -0.7098  -4.9762
O  29.5831  -2.1509  -17.7900
C  29.5799  -2.9042  -16.8257
O  30.4508  -3.9237  -16.7087
C  30.2726  -4.6586  -15.5093
C  29.1733  -3.9034  -14.6934
C  28.5067  -3.0398  -15.7384
H  31.1997  -4.7338  -14.9410
H  29.9361  -5.6504  -15.8112
H  29.4511  -3.2944  -13.8331
H  28.4513  -4.6664  -14.4027
H  28.1656  -2.0467  -15.4463
H  27.6004  -3.4255  -16.2053
N  31.7279  0.6234  -14.3248
Restate the lines further above up to the one that holds "-4.4175", that line included.
[1]
Below is C25H47ClINO3PdSi2 as an isolated structure in a non-equilibrium geometry, with properties calculated with ωB97M-V/def2-TZVPD.

CARTESIAN COORDINATES (ANGSTROEM)
O  -0.3482  -1.0899  -2.1757
O  0.8759  0.8298  -3.4203
C  0.3782  -2.3855  -2.5429
C  -0.3903  -3.5010  -1.9051
H  1.3881  -2.2584  -2.1408
H  0.3990  -2.4213  -3.6377
H  -0.4990  -3.3628  -0.8218
H  0.1466  -4.4354  -2.0615
H  -1.3813  -3.6170  -2.3571
C  -1.7106  -0.8887  -2.8505
C  -1.6903  -1.1031  -4.3391
H  -1.9916  0.1251  -2.5545
H  -2.3255  -1.6186  -2.3248
H  -0.9681  -0.4552  -4.8553
H  -2.6906  -0.8566  -4.7214
H  -1.5084  -2.1523  -4.6012
C  0.4062  2.1913  -3.2989
C  2.1648  0.6190  -4.0293
C  -0.5853  2.5361  -4.3847
H  1.2701  2.8679  -3.3073
H  -0.0750  2.2522  -2.3110
H  -0.1223  2.5006  -5.3798
H  -0.9462  3.5585  -4.2212
H  -1.4533  1.8643  -4.3647
C  2.1237  0.7824  -5.5339
H  2.4492  -0.4059  -3.7538
H  2.8855  1.3107  -3.5691
H  1.3092  0.1979  -5.9836
H  3.0693  0.4167  -5.9481
H  2.0190  1.8361  -5.8203
H  0.2548  -0.2947  -2.3700
Pd  -0.0385  0.1497  1.4023
C  1.4815  0.0167  -0.0474
Si  3.2625  0.4487  0.4582
H  1.3610  -1.0553  -0.2985
H  1.1112  0.5997  -0.9045
C  4.4198  -0.6359  -0.5691
C  3.7442  0.2054  2.2436
C  3.5876  2.2402  0.0042
C  -1.6373  -1.0702  1.0478
Si  -3.1610  0.0166  0.9896
H  -1.6139  -1.8022  1.8806
H  -1.3420  -1.6083  0.1295
C  -4.4175  -0.7438  -0.1930